== Activity ==
Find "-2.179" and "4.176" in the entries below, and echo these two lines and those between.

== Material ==
~~~
Entry 1:
Below is a 2-piece molecular cluster, C47H61N2 overall at a distorted geometry, with properties calculated with ωB97M-V/def2-TZVPD.

The geometry in XYZ format:
```
110
Properties=species:S:1:pos:R:3
C -0.051 -1.254 -3.598
C 1.261 -1.896 -3.222
C 1.066 -3.411 -3.297
C 2.320 -1.423 -4.237
C 1.740 -1.450 -1.826
C 2.580 -2.335 -1.132
C 3.761 -1.845 -0.578
C 4.028 -0.476 -0.624
C 3.107 0.449 -1.137
C 3.606 1.878 -1.407
C 3.649 2.662 -0.094
C 2.784 2.568 -2.502
C 5.064 1.840 -1.900
C 1.786 -0.071 -1.377
N 0.656 0.533 -0.732
C -0.210 -0.238 0.062
C -0.931 -1.289 -0.442
C -1.278 -2.377 0.495
C -2.608 -2.725 0.811
C -2.864 -3.420 1.998
C -1.808 -3.954 2.742
C -0.492 -3.826 2.278
C -0.234 -3.084 1.130
N -0.426 0.459 1.258
C -0.799 -0.043 2.590
C 0.220 -0.508 3.480
C 1.744 -0.220 3.331
C 2.582 -0.990 4.364
C 2.025 1.271 3.547
C 2.251 -0.680 1.982
C -0.165 -1.211 4.624
C -1.473 -1.205 5.081
C -2.421 -0.517 4.352
C -2.133 -0.012 3.077
C -3.368 0.587 2.368
C -4.604 -0.298 2.609
C -3.187 0.603 0.880
C -3.616 2.004 2.882
C -0.051 1.780 1.001
C 0.620 1.813 -0.166
H -0.152 -0.269 -3.142
H -0.113 -1.154 -4.689
H -0.901 -1.878 -3.301
H 1.993 -3.962 -3.092
H 0.289 -3.728 -2.580
H 0.722 -3.664 -4.316
H 3.296 -1.885 -4.039
H 1.999 -1.682 -5.256
H 2.442 -0.330 -4.179
H 2.388 -3.416 -1.115
H 4.510 -2.537 -0.177
H 4.994 -0.131 -0.246
H 4.330 2.173 0.616
H 4.012 3.680 -0.292
H 2.675 2.734 0.392
H 3.093 2.197 -3.492
H 1.708 2.392 -2.421
H 2.964 3.651 -2.464
H 5.167 1.199 -2.782
H 5.389 2.850 -2.179
H 5.746 1.478 -1.124
H -0.749 -1.537 -1.477
H -3.413 -2.420 0.141
H -3.896 -3.568 2.322
H -2.011 -4.491 3.676
H 0.336 -4.309 2.810
H 0.763 -2.997 0.687
H 2.447 -2.076 4.257
H 3.648 -0.778 4.201
H 2.343 -0.690 5.392
H 1.468 1.907 2.852
H 1.738 1.562 4.567
H 3.097 1.472 3.415
H 1.934 -0.030 1.171
H 3.350 -0.694 1.959
H 1.893 -1.697 1.774
H 0.569 -1.754 5.219
H -1.743 -1.740 5.992
H -3.419 -0.401 4.780
H -4.986 -0.220 3.631
H -5.417 -0.001 1.934
H -4.364 -1.350 2.399
H -2.456 1.330 0.534
H -2.842 -0.379 0.566
H -4.141 0.784 0.372
H -2.745 2.642 2.691
H -4.483 2.447 2.377
H -3.804 2.000 3.962
H -0.273 2.578 1.695
H 1.027 2.671 -0.679
C -3.312 -0.393 -2.131
C -2.414 0.482 -2.885
C -2.360 0.272 -4.371
C -2.055 1.803 -2.429
C -0.991 2.512 -3.065
C -0.707 3.830 -2.735
C -1.410 4.476 -1.711
C -2.479 3.816 -1.092
C -2.843 2.537 -1.498
H -2.804 -0.698 -1.213
H -4.268 0.067 -1.849
H -3.506 -1.315 -2.695
H -1.400 0.568 -4.800
H -2.552 -0.782 -4.596
H -3.117 0.864 -4.919
H -0.417 2.022 -3.858
H 0.074 4.361 -3.287
H -1.136 5.490 -1.414
H -3.057 4.314 -0.305
H -3.794 2.113 -1.161
```

Properties
multiplicity: 1
HOMO-LUMO gap: 4.1 eV
total charge: +1
electronic energy: -52697.777 eV



Entry 2:
Below is a 16-piece molecular cluster, C48H112N16O16 overall at a distorted geometry, with properties calculated with ωB97M-V/def2-TZVPD.

The geometry in XYZ format:
```
192
Properties=species:S:1:pos:R:3
C -2.666 -5.352 3.806
O -3.177 -6.177 4.524
N -2.650 -4.042 4.018
C -1.857 -3.138 3.126
C -3.288 -3.370 5.145
H -2.174 -5.649 2.867
H -2.418 -2.537 2.411
H -1.055 -3.733 2.688
H -1.310 -2.433 3.751
H -2.669 -2.886 5.900
H -4.091 -2.705 4.828
H -3.988 -3.968 5.730
C 3.456 -2.524 -5.487
O 3.101 -3.296 -4.584
N 3.728 -1.210 -5.293
C 4.006 -0.298 -6.441
C 3.954 -0.613 -3.930
H 3.421 -2.822 -6.546
H 5.038 0.051 -6.484
H 3.370 0.583 -6.360
H 3.771 -0.717 -7.420
H 5.021 -0.556 -3.716
H 3.742 0.453 -3.851
H 3.480 -1.044 -3.048
C 1.410 4.822 -3.647
O 1.473 3.860 -2.830
N 0.410 5.687 -3.796
C 0.292 6.400 -5.119
C -0.743 5.746 -2.954
H 2.216 5.142 -4.324
H 0.152 7.478 -5.032
H -0.574 5.966 -5.617
H 1.118 6.343 -5.828
H -1.537 5.006 -3.063
H -0.472 5.544 -1.918
H -1.254 6.705 -3.039
C -4.145 3.318 4.980
O -3.684 4.365 4.527
N -4.325 2.199 4.199
C -5.020 1.005 4.764
C -4.033 2.078 2.784
H -4.551 3.199 5.997
H -4.864 0.858 5.833
H -4.832 0.107 4.176
H -6.036 1.318 4.522
H -4.844 1.760 2.129
H -3.557 2.941 2.319
H -3.349 1.233 2.698
C 5.544 -3.332 0.539
O 5.738 -4.531 0.583
~~~

== Written answer ==
H 5.389 2.850 -2.179
H 5.746 1.478 -1.124
H -0.749 -1.537 -1.477
H -3.413 -2.420 0.141
H -3.896 -3.568 2.322
H -2.011 -4.491 3.676
H 0.336 -4.309 2.810
H 0.763 -2.997 0.687
H 2.447 -2.076 4.257
H 3.648 -0.778 4.201
H 2.343 -0.690 5.392
H 1.468 1.907 2.852
H 1.738 1.562 4.567
H 3.097 1.472 3.415
H 1.934 -0.030 1.171
H 3.350 -0.694 1.959
H 1.893 -1.697 1.774
H 0.569 -1.754 5.219
H -1.743 -1.740 5.992
H -3.419 -0.401 4.780
H -4.986 -0.220 3.631
H -5.417 -0.001 1.934
H -4.364 -1.350 2.399
H -2.456 1.330 0.534
H -2.842 -0.379 0.566
H -4.141 0.784 0.372
H -2.745 2.642 2.691
H -4.483 2.447 2.377
H -3.804 2.000 3.962
H -0.273 2.578 1.695
H 1.027 2.671 -0.679
C -3.312 -0.393 -2.131
C -2.414 0.482 -2.885
C -2.360 0.272 -4.371
C -2.055 1.803 -2.429
C -0.991 2.512 -3.065
C -0.707 3.830 -2.735
C -1.410 4.476 -1.711
C -2.479 3.816 -1.092
C -2.843 2.537 -1.498
H -2.804 -0.698 -1.213
H -4.268 0.067 -1.849
H -3.506 -1.315 -2.695
H -1.400 0.568 -4.800
H -2.552 -0.782 -4.596
H -3.117 0.864 -4.919
H -0.417 2.022 -3.858
H 0.074 4.361 -3.287
H -1.136 5.490 -1.414
H -3.057 4.314 -0.305
H -3.794 2.113 -1.161
```

Properties
multiplicity: 1
HOMO-LUMO gap: 4.1 eV
total charge: +1
electronic energy: -52697.777 eV



Entry 2:
Below is a 16-piece molecular cluster, C48H112N16O16 overall at a distorted geometry, with properties calculated with ωB97M-V/def2-TZVPD.

The geometry in XYZ format:
```
192
Properties=species:S:1:pos:R:3
C -2.666 -5.352 3.806
O -3.177 -6.177 4.524
N -2.650 -4.042 4.018
C -1.857 -3.138 3.126
C -3.288 -3.370 5.145
H -2.174 -5.649 2.867
H -2.418 -2.537 2.411
H -1.055 -3.733 2.688
H -1.310 -2.433 3.751
H -2.669 -2.886 5.900
H -4.091 -2.705 4.828
H -3.988 -3.968 5.730
C 3.456 -2.524 -5.487
O 3.101 -3.296 -4.584
N 3.728 -1.210 -5.293
C 4.006 -0.298 -6.441
C 3.954 -0.613 -3.930
H 3.421 -2.822 -6.546
H 5.038 0.051 -6.484
H 3.370 0.583 -6.360
H 3.771 -0.717 -7.420
H 5.021 -0.556 -3.716
H 3.742 0.453 -3.851
H 3.480 -1.044 -3.048
C 1.410 4.822 -3.647
O 1.473 3.860 -2.830
N 0.410 5.687 -3.796
C 0.292 6.400 -5.119
C -0.743 5.746 -2.954
H 2.216 5.142 -4.324
H 0.152 7.478 -5.032
H -0.574 5.966 -5.617
H 1.118 6.343 -5.828
H -1.537 5.006 -3.063
H -0.472 5.544 -1.918
H -1.254 6.705 -3.039
C -4.145 3.318 4.980
O -3.684 4.365 4.527
N -4.325 2.199 4.199
C -5.020 1.005 4.764
C -4.033 2.078 2.784
H -4.551 3.199 5.997
H -4.864 0.858 5.833
H -4.832 0.107 4.176